In July, I entered a blog commentary regarding adding creativity through puppetry with choral speech into the classroom to help children learn faster. Unfortunately, there are still teachers and schools who resist creative applications, even if they are so-called "proven." This factor has always been a puzzling factor to me, as I have instructed critical thinking skills with creative applications for many years successfully with various demographic classroom groups and ages.
This resistance is because they are unsure of what to protocols use and how to use them. Administrators and educators also worry they will be criticized for being creative when there are pressures for making annual yearly progress achievement with their students.
Recent educational change articles published by the Association for Supervision and Curriculum Development's Educational Leadership, September 2009 | Volume 67 | Number 1
Teaching for the 21st Century Pages 22-26 "Why Creativity Now? A Conversation with Sir Ken Robinson," by Amy M. Azzam. Subtitled: " Creativity: It's been maligned, neglected, and misunderstood." But it's finally coming into its own. Here, creativity expert Sir Ken Robinson makes the case for creativity as the crucial 21st century skill we'll need to solve today's pressing problems.
It goes on to say, "It's interesting that people see creativity and critical thinking as being opposed. It's partly because people associate creativity with being totally free and unstructured. But what we really have to get hold of is the idea that you can't be creative if you don't do something. Creativity is a process of having original ideas that have value."
It is important that the applied creative applications are not mere time consuming "fluff," but are used as a tool for teaching critical thought central to academic achievement.
These data records were left in the entry by mistake:
-- begin --
A plane-wave DFT calculation with PBE-GGA was carried out for TbCuSe2 after structural relaxation.

POSCAR file:
```
TbCuSe2
1.0
6.619 0.000 0.000
0.000 7.342 0.000
-0.751 0.000 7.061
Tb Cu Se
4 4 8
Direct
0.196 0.042 0.299 Tb
0.196 0.458 0.799 Tb
0.804 0.542 0.201 Tb
0.804 0.958 0.701 Tb
0.426 0.659 0.455 Cu
0.426 0.841 0.955 Cu
0.574 0.159 0.045 Cu
0.574 0.341 0.545 Cu
0.071 0.724 0.497 Se
0.071 0.776 0.997 Se
0.400 0.112 0.718 Se
0.400 0.388 0.218 Se
0.600 0.612 0.782 Se
0.600 0.888 0.282 Se
0.929 0.224 0.003 Se
0.929 0.276 0.503 Se
```

- E: -5.15 eV/atom
- DFT formation energy: -1.454 eV per atom

~~~~~

Sm3Ti4CoO14 PBE with a Hubbard U relaxed; space-group type = R-3m, No. 166; energy of formation from the pure elements = -3349.5 meV per atom; M_tot = 0.182 μB/atom
1.0
-3.839 -0.951 -5.948
-5.693 -4.305 0.278
-6.503 2.933 -0.356
Ti O Sm Co
4 14 3 1
Cartesian
0.000 0.000 0.000
-1.919 -0.476 -2.974
-2.846 -2.153 0.139
-3.252 1.466 -0.178
-6.909 -3.366 -3.871
-8.535 -0.996 -0.459
-8.631 -3.375 -1.769
-11.371 0.410 -5.703
-10.892 -3.870 -5.328
-5.143 1.546 -0.699
-7.404 1.051 -4.258
-4.664 -2.734 -0.323
-9.805 -1.421 -3.685
-3.568 -0.750 -4.005
-12.467 -1.573 -2.022
-6.231 -0.903 -2.342
-7.500 -1.328 -5.568
-9.126 1.042 -2.156
-5.171 0.991 -3.152
-6.098 -0.686 -0.039
-4.766 -2.628 -2.835
-8.018 -1.162 -3.013


MgFe2Cl2O2 PBE with a Hubbard U relaxed; space-group type = Pmm2, No. 25; energy of formation from the pure elements = -1298.4 meV per atom; relative energy among the computed polymorphs = 185 meV/atom; M_tot = 1.143 μB/atom
1.0
3.723 0.000 0.000
0.000 3.759 0.000
0.000 0.000 9.537
Fe Cl O Mg
2 2 2 1
Cartesian
0.000 1.880 9.238
1.861 0.000 1.478
0.000 0.000 2.930
1.861 1.880 6.140
0.000 0.000 8.465
1.861 1.880 0.483
1.861 0.000 7.551


Li9Mn7O16 PBE with a Hubbard U relaxed; space-group type = C2/m, No. 12; energy of formation from the pure elements = -2117.6 meV per atom; relative energy among the computed polymorphs = 27 meV/atom; M_tot = 0.813 μB/atom
1.0
2.875 5.272 0.000
-2.875 5.272 0.000
0.000 1.087 9.780
Mn O Li
7 16 9
Cartesian
1.428 4.279 2.386
0.000 0.000 0.000
0.000 3.180 4.893
1.428 7.351 7.395
-1.428 4.279 2.386
0.000 8.451 4.888
-1.428 7.351 7.395
0.000 3.480 1.364
0.000 1.402 6.235
-1.439 7.765 3.751
0.000 8.151 8.416
0.000 2.920 8.453
-1.439 3.866 6.030
-1.503 5.694 8.560
1.439 3.866 6.030
0.000 8.711 1.327
0.000 10.229 3.545
1.503 5.937 1.220
-1.503 5.937 1.220
1.439 7.765 3.751
0.000 4.994 3.549
0.000 6.637 6.231
1.503 5.694 8.560
1.438 5.815 4.890
0.000 10.039 7.383
0.000 1.592 2.398
0.000 6.836 2.354
0.000 5.272 0.000
0.000 4.794 7.426
1.438 2.636 0.000
-1.438 5.815 4.890
-1.438 2.636 0.000


Na2MgFe4O8 PBE with a Hubbard U relaxed; space-group type = C2/m, No. 12; energy of formation from the pure elements = -1763.6 meV per atom; M_tot = 1.333 μB/atom
1.0
-1.119 1.958 6.025
1.842 5.718 2.337
-4.067 4.737 1.538
O Mg Na Fe
8 1 2 4
Cartesian
-0.930 3.469 2.765
-0.580 7.048 6.676
-2.764 5.365 3.223
-2.415 8.944 7.134
-- stop --
Back to the entry:
Teachers now have the resources for finding both creativity and critical thinking. Of course, they are pressed for time with budget constraints to find and use them. What professionals and parents can do is find reliable, documented resources such as this website, where it is all spelled out for them. This site can point parents and educators in the right direction to achieving success both at home and in the classroom.
This may sound like a "no-brainer," but creative applications are the tool for how you make annual yearly progress (AYP), or showing student academic yearly improvement. Now, I am not trying to sell my own researched The Bridge To achievement program. Unfortunately, it is at this time unavailable for implementation, as it will be adapted to a e-Learning platform.
At some point in the future it will become available through publishing houses. Nevertheless, it is crucial for parents, teachers, and schools to become informed of "what works," and how to use proven methods to make their own lives more fruitful.